She laughed. “Maybe if you’re nice, I’ll let you see a few when we get back to town.”

The words were out before she had evaluated them, and she barely resisted a face-palm when she realized what they implied. Wasn’t she the one who’d called him out on the plane for alluding to future plans? Now she was doing the same. She opened her mouth to backpedal, but Wyatt didn’t give her a chance.

“Then I think I’m going to try to be very, very nice, Ms. LeBreck.” His gaze showed no fear or concern, only searing-hot purpose.

She smoothed her hair, the promise sending a streamer of anticipation through her. “I better get going.”

He pushed off the doorjamb. “Good idea, because you’re suddenly not doing a very good job of convincing me why I need to go spend the next two hours with a bunch of blowhards when I could be here doing unspeakable things to you.”

She blew him a kiss and gave a little wave. “Good-bye, Mr. Austin. Don’t get into too much trouble while I’m gone.”

“No, I’ll save that for you, love.”

At that, she slipped out of their cabana and down the steps to the path, smiling so wide her face hurt. She touched her mouth with her fingers, almost surprised to find the grin there. When had she ever felt this . . . light?

She looked to the wide blue sky, half-expecting a bolt of lightning to take her out.

But for once, there wasn’t a storm cloud in sight.

* * *

“All in.” Scott Redmond, one of Wyatt’s father’s biggest clients, pushed the rest of his stack of poker chips toward the pot and sent a challenging look Carmichael’s way.

Wyatt had already bowed out of this hand, though he’d had a pocket pair he would’ve normally played with. So, he sat back in his chair and sipped his drink as he observed the two men. Scott was bluffing. Even with his stone-cold stare, his thumb had rubbed the band of his wedding ring when he’d made the call, revealing his tell. But this was how Scott ran his business—posture and intimidate until the other side gave in.

Carmichael eyed Scott, turning and turning a poker chip between his fingers as he did, then flicked his cards toward the center of the table. “Fold.”

The older man grinned and raked the pot his way. He pushed his own cards toward the dealer, but didn’t flip them over, leaving Carmichael to wonder if he’d been had or not. “Smart move, son.”

“Keep it up at this rate and you’ll need to call Wyatt’s daddy to get advice on where to invest your newest fortune,” Andrew joked, tilting his head Wyatt’s way.

“Or you could just give that big stack of chips to me. I’ll make sure it gets to him,” Wyatt said with a wry smile.

“Oh, no you don’t,” Scott replied with a wheeze of a laugh. “There’s no one I trust more with my money than your father, but these winnings will go straight into a new boat I’ve had my eye on.”

The dealer dealt the next hand, and Wyatt peeked at his two cards, lifting just the corners and cupping his hand around them—queen, king, suited. He tossed in a few chips. Wallace and Cam Berthelot had already busted out and left, so it was only the three of them now.

Carmichael pushed in enough chips to match Wyatt’s bet and nodded his way. “Yeah, Scott here has been singing your father’s praises lately. Seems your firm’s making him a lot of money.”

“Damn straight,” Scott said, shoving his own chips in.

== Next to the entry, the page also holds crystal structures ==
____________
[1]
The following is a DFT calculation (PBE) of a relaxed GaSiTe crystal.

Cell and atoms, written as CIF:
```
data_GaSiTe
_cell_length_a 4.290
_cell_length_b 6.075
_cell_length_c 6.880
_cell_angle_alpha 95.22
_cell_angle_beta 101.58
_cell_angle_gamma 109.03
_symmetry_space_group_name_H-M 'P -1'
_symmetry_Int_Tables_number 2
_symmetry_space_group_name_Hall '-P 1'
loop_
_atom_site_label
_atom_site_type_symbol
_atom_site_fract_x
_atom_site_fract_y
_atom_site_fract_z
Ga1 Ga 0.200 0.234 0.299
Si1 Si 0.418 0.943 0.823
Te1 Te 0.334 0.322 0.710
```

## Properties
As for the uncorrected formation energy: -0.036 eV/atom. As for the electronic total energy: -3.90 eV/atom. The calculated density comes out at 4.57 g/cm3.

---

[2]
The following is a DFT calculation (PBE) of a relaxed GaSiTe crystal.

Cell and atoms, written as CIF:
```
data_GaSiTe
_cell_length_a 11.010
_cell_length_b 4.043
_cell_length_c 7.607
_cell_angle_alpha 90.00
_cell_angle_beta 106.94
_cell_angle_gamma 90.00
_symmetry_space_group_name_H-M 'C 1 m 1'
_symmetry_Int_Tables_number 8
_symmetry_space_group_name_Hall 'C -2y'
loop_
_atom_site_label
_atom_site_type_symbol
_atom_site_fract_x
_atom_site_fract_y
_atom_site_fract_z
Ga1 Ga 0.000 0.000 0.000
Ga2 Ga 0.026 0.000 0.339
Si1 Si 0.241 0.000 0.563
Si2 Si 0.291 0.500 0.749
Te1 Te 0.075 0.500 0.820
Te2 Te 0.353 0.000 0.303
```

## Properties
As for the uncorrected formation energy: -0.022 eV/atom. As for the electronic total energy: -3.89 eV/atom. The calculated density comes out at 4.62 g/cm3.

---

[3]
The following is a DFT calculation (PBE) of a relaxed GaSiTe crystal.

Cell and atoms, written as CIF:
```
data_GaSiTe
_cell_length_a 4.330
_cell_length_b 5.941
_cell_length_c 6.589
_cell_angle_alpha 75.39
_cell_angle_beta 88.73
_cell_angle_gamma 70.10
_symmetry_space_group_name_H-M 'P 1'
_symmetry_Int_Tables_number 1
_symmetry_space_group_name_Hall 'P 1'
loop_
_atom_site_label
_atom_site_type_symbol
_atom_site_fract_x
_atom_site_fract_y
_atom_site_fract_z
Ga1 Ga 0.000 0.000 0.000
Ga2 Ga 0.124 0.279 0.678
Si1 Si 0.546 0.893 0.186
Si2 Si 0.581 0.042 0.491
Te1 Te 0.149 0.727 0.688
Te2 Te 0.827 0.407 0.276
```

## Properties
As for the uncorrected formation energy: 0.022 eV/atom. As for the electronic total energy: -3.84 eV/atom. The calculated density comes out at 4.87 g/cm3.

---

[4]
The following is a DFT calculation (PBE) of a relaxed GaSiTe crystal.

Cell and atoms, written as CIF:
```
data_GaSiTe
_cell_length_a 4.081
_cell_length_b 6.732
_cell_length_c 7.019
_cell_angle_alpha 65.23
_cell_angle_beta 78.64
_cell_angle_gamma 85.76
_symmetry_space_group_name_H-M 'P 1'
_symmetry_Int_Tables_number 1
_symmetry_space_group_name_Hall 'P 1'
loop_
_atom_site_label
_atom_site_type_symbol
_atom_site_fract_x
_atom_site_fract_y
_atom_site_fract_z
Ga1 Ga 0.000 0.000 0.000
Ga2 Ga 0.133 0.622 0.268
Si1 Si 0.419 0.533 0.956
Si2 Si 0.511 0.216 0.888
Te1 Te 0.598 0.344 0.476
Te2 Te 0.974 0.773 0.731
```

## Properties
____________

Wyatt swirled his drink, still not trusting Carmichael. The guy had been ridiculously cordial so far today. Not a Quiet Wyatt comment to be heard. But that didn’t mean Wyatt was letting his guard down. And if Andrew expected him to start begging for his business, he was going to be greatly disappointed. “We’re the best at what we do.”

“Not what Tony Merrill says,” Andrew replied, his eyes on the dealer as the older man turned the first card of the flop.

“Tony promises a lot of flash. If you want to be wined and dined and swept off on their annual Mediterranean cruise so that you feel important, you go with Merrill and Mead. If you want people who actually know the market and see what’s around the next curve before you get there, then you go with us.” Wyatt tossed more chips in.

“And what if I need someone who knows how to be discreet?” Andrew asked, his tone as casual as the god-awful tropical shirt he wore today. He pushed his cards in, folding.

The question was simple and not completely off the wall. People wanted ultimate privacy when it came to their finances, but the way Andrew had said it had raised Wyatt’s creep sensors. “Meaning?”

Andrew shrugged and glanced over at their poker partner. “Scott has told me your father has always been good at keeping things clean. You know, even when they may not start out that way.”

Wyatt’s attention snapped toward Scott, who only offered a ghost of a smile as he peeked at his cards to decide what his next move was. Keeping things clean? What the fuck? “I see.”

“Honestly,” Carmichael continued, “I wasn’t sure if you had the cajones to handle something like that. You’ve never been much of a . . . risk-taker. I mean, you didn’t even fuck that pretty girlfriend you had in high school. Shocked the hell out of me when she told me she was a virgin.”

Wyatt gripped his drink so hard, he was surprised it didn’t shatter in his fist. But there was no way he was going to make a scene in front of Scott, one of his father’s most important clients. Wyatt leveled a look at Carmichael, refusing to respond to the bait.